-- To do --
Work out how many lines further down have the word "in" in them; a number is enough, please.

-- Data --
'''
Arrangement i

# C2H3NO2

The molecule C2H3NO2 (the ωB97M-V functional and the def2-TZVPD basis, the OMol25 dataset).

Atoms and positions in Å:
1 H -2.3358 0.1961 0.4811
2 N -1.3253 0.2902 0.5489
3 C -0.7655 -0.4711 -0.2782
4 O 0.5894 -0.6268 -0.3285
5 C 1.4446 0.3630 0.0900
6 O 1.3712 1.5139 -0.2042
7 H -1.2247 -1.1644 -0.9856
8 H 2.2462 -0.1009 0.6765

SMILES string: [H]/N=C/OC=O
E_HOMO, eV: -10.74
Gap between HOMO and LUMO, eV: 11.6
LUMO energy, eV: 0.86
Spin multiplicity: 1
Charge: 0

***

Arrangement ii

# C2H3NO2

A structure of composition C2H3NO2 (the ωB97M-V functional and the def2-TZVPD basis, the OMol25 dataset).

Atoms and positions in Å:
1 C -0.3278 -0.4707 -0.0936
2 C -1.2080 0.5254 0.0014
3 N 0.8089 0.2335 -0.5106
4 O 0.3465 1.5169 -0.3872
5 O 2.0332 -0.0811 0.1511
6 H -0.5363 -1.5763 0.0226
7 H -2.1874 0.9030 0.0505
8 H 2.3627 0.8135 0.2700

E_HOMO, eV: -8.55
Gap between HOMO and LUMO, eV: 8.6
LUMO energy, eV: 0.07
Spin multiplicity: 1
Charge: 0

***

Which of them is most stable? Easy: arrangement i.

***

Arrangement i

# C2H3NO2

The molecule C2H3NO2 (the ωB97M-V functional and the def2-TZVPD basis, the OMol25 dataset).

Atoms and positions in Å:
1 O -1.2704 -1.1130 0.7865
2 C -0.1391 -1.1330 0.3995
3 N 0.4569 -0.1267 -0.2799
4 C -0.1929 1.1434 -0.4481
5 O -1.3811 1.2814 -0.6077
6 H 0.5777 -1.8154 0.6674
7 H 1.4742 -0.1470 -0.0821
8 H 0.4748 1.9103 -0.4357

SMILES string: O=CNC=O
E_HOMO, eV: -10.08
Gap between HOMO and LUMO, eV: 10.6
LUMO energy, eV: 0.47
Spin multiplicity: 1
Charge: 0

***

Arrangement ii

# C2H3NO2

The molecule C2H3NO2 (the ωB97M-V functional and the def2-TZVPD basis, the OMol25 dataset).

Atoms and positions in Å:
1 C -1.6797 -0.2522 -0.0341
2 N -0.4653 -0.6286 0.0778
3 O 0.3541 0.5079 0.0150
4 C 1.7005 0.2461 -0.0041
5 O 2.2114 -0.8246 -0.0241
6 H -2.4373 -1.0468 -0.0199
7 H -1.9071 0.8143 -0.0957
8 H 2.2235 1.1838 0.0850

SMILES string: C=NOC=O
E_HOMO, eV: -10.90
Gap between HOMO and LUMO, eV: 11.7
LUMO energy, eV: 0.85
Spin multiplicity: 1
Charge: 0

***

Arrangement iii

# C2H3NO2

A cluster of 2 separate species, C2H3NO2 in total (the ωB97M-V functional and the def2-TZVPD basis, the OMol25 dataset).

Atoms and positions in Å:
1 N -1.2001 -1.4036 0.7013
2 C -1.3537 -0.8179 -0.3335
3 O -1.6764 -0.2460 -1.2830
4 H -0.3590 -1.6111 1.2562
5 C 1.0819 0.9784 -0.1656
6 O 1.6171 -0.0746 -0.0206
7 H 0.7169 1.4472 0.8336
8 H 1.1732 1.7276 -0.9883

SMILES string: N=C=O.C=O
E_HOMO, eV: -10.45
Gap between HOMO and LUMO, eV: 10.9
LUMO energy, eV: 0.49
Spin multiplicity: 1
Charge: 0

***

Which of them is most stable? Easy: arrangement i.

***

Arrangement i

# C2H3NO2

A cluster of 2 separate species, C2H3NO2 in total (the ωB97M-V functional and the def2-TZVPD basis, the OMol25 dataset).

Atoms and positions in Å:
1 C 1.3076 0.1692 0.0713
2 C -0.0749 -0.1837 -0.0993
3 N 2.4209 0.4538 0.1891
4 O -0.4324 -1.4341 -0.0825
5 O -0.6835 0.6877 -0.9564
6 H -0.7054 0.3013 1.7969
7 H -1.3334 -1.6560 0.0134
8 H -0.4988 1.6619 -0.9326

E_HOMO (alpha / beta), eV: -9.40 / -8.61
Gap between HOMO and LUMO (alpha / beta), eV: 8.9 / 7.9
LUMO energy (alpha / beta), eV: -0.49 / -0.68
Spin multiplicity: 1
Charge: 0

***

Arrangement ii

# C2H3NO2

The molecule C2H3NO2 (the ωB97M-V functional and the def2-TZVPD basis, the OMol25 dataset).

Atoms and positions in Å:
1 C 0.9452 -0.3495 1.0555
2 C 0.0700 0.7105 0.4207
3 N -0.3527 -0.4001 -1.5684
4 O -0.3147 -0.1862 1.4369
5 O -0.7421 0.5402 -0.7351
6 H 1.4067 -1.3474 0.6991
7 H 0.0937 1.6533 0.8172
8 H -1.1060 -0.6208 -2.1260

E_HOMO (alpha / beta), eV: -8.49 / -9.33
Gap between HOMO and LUMO (alpha / beta), eV: 8.7 / 9.5
LUMO energy (alpha / beta), eV: 0.18 / 0.21
Spin multiplicity: 1
Charge: 0

***

Which of them is most stable? Easy: arrangement i.

***

Arrangement i

# C2H3NO2

The molecule C2H3NO2 (the ωB97M-V functional and the def2-TZVPD basis, the OMol25 dataset).

Atoms and positions in Å:
1 C 2.1326 -0.0843 0.1536
2 N 0.9034 -0.5071 -0.2375
'''

-- Outcome --
10